Polling out Thursday reveals overwhelming support from President Joe Biden's party for canceling student loan debt.
"President Biden canceling student loan debt could be hugely consequential to millions of Americans facing significant financial burdens amidst the pain of rising costs."
**Attached: crystal structures**
********
1.
Material: PrErGa2Au2
Method: DFT, GGA-PBE
State: relaxed

Properties
The volume comes out at 132.1 Å³/cell. Its crystal system is trigonal. As for the space group: P-3m1. The calculation puts the total energy at -4.44 eV per atom.

a = 4.558 Å, b = 4.558 Å, c = 7.339 Å
α = 90.00°, β = 90.00°, γ = 120.00°
Fractional coordinates of all 6 atoms:
Ga  0.333  0.667  0.728
Ga  0.667  0.333  0.272
Er  0.000  0.000  0.500
Au  0.333  0.667  0.279
Pr  0.000  0.000  0.000
Au  0.667  0.333  0.721



2.
Material: TaCrReOs
Method: DFT, GGA-PBE
State: relaxed

Properties
The volume comes out at 60.4 Å³/cell. Its crystal system is cubic. As for the space group: F-43m. The calculation puts the total energy at -11.33 eV per atom.

a = 4.403 Å, b = 4.403 Å, c = 4.403 Å
α = 60.00°, β = 60.00°, γ = 60.00°
Last column: magnetic moment on the atom in μB.
Fractional coordinates of all 4 atoms:
Re  0.250  0.250  0.250  -0.27
Os  0.750  0.750  0.750  0.05
Cr  0.500  0.500  0.500  1.88
Ta  0.000  0.000  0.000  0.05



3.
Material: Cu5Bi3Br12
Method: DFT, GGA-PBE
State: relaxed

Properties
The volume comes out at 2235.8 Å³/cell. Its crystal system is cubic. Its raw formation energy is -313 meV/atom. As for the space group: Ia-3d. The calculation puts the total energy at -2.92 eV per atom.

a = 14.268 Å, b = 14.268 Å, c = 14.268 Å
α = 109.47°, β = 109.47°, γ = 109.47°
Fractional coordinates of all 80 atoms:
Br  0.870  0.298  0.473
Br  0.396  0.370  0.572
Cu  0.500  0.000  0.000
Br  0.176  0.104  0.973
Cu  0.875  0.625  0.750
Bi  0.750  0.875  0.625
Bi  0.250  0.625  0.875
Br  0.798  0.324  0.928
Cu  0.375  0.250  0.125
Br  0.202  0.527  0.630
Br  0.896  0.072  0.870
Cu  0.625  0.875  0.250
Br  0.396  0.027  0.324
Br  0.604  0.630  0.428
Br  0.702  0.572  0.176
Br  0.630  0.604  0.928
Cu  0.500  0.500  0.500
Bi  0.125  0.250  0.875
Br  0.370  0.396  0.072
Br  0.027  0.396  0.824
Br  0.928  0.104  0.630
Br  0.104  0.176  0.473
Cu  0.875  0.250  0.625
Bi  0.875  0.125  0.250
Br  0.572  0.702  0.676
Cu  0.500  0.500  0.000
Cu  0.000  0.000  0.500
Br  0.130  0.428  0.104
Br  0.298  0.428  0.824
Bi  0.250  0.125  0.375
Br  0.676  0.473  0.604
Br  0.630  0.027  0.202
Br  0.072  0.896  0.370
Cu  0.000  0.500  0.500
Cu  0.125  0.750  0.375
Br  0.928  0.824  0.798
Bi  0.625  0.375  0.750
Br  0.027  0.630  0.702
Br  0.324  0.527  0.396
Br  0.527  0.202  0.130
Cu  0.000  0.000  0.000
Br  0.824  0.928  0.298
Cu  0.250  0.375  0.625
Br  0.870  0.572  0.896
Bi  0.375  0.625  0.250
Cu  0.250  0.875  0.125
Bi  0.875  0.750  0.125
Br  0.604  0.973  0.676
Br  0.572  0.870  0.396
Cu  0.750  0.125  0.875
Bi  0.125  0.875  0.750
Br  0.473  0.676  0.104
Br  0.324  0.798  0.428
Br  0.676  0.202  0.572
Cu  0.625  0.750  0.875
Cu  0.000  0.500  0.000
Br  0.370  0.973  0.798
Cu  0.375  0.125  0.750
Bi  0.750  0.375  0.125
Br  0.824  0.896  0.027
Bi  0.375  0.750  0.625
Bi  0.625  0.250  0.375
Cu  0.500  0.000  0.500
Br  0.072  0.176  0.202
Br  0.473  0.798  0.870
Br  0.202  0.676  0.072
********
Among Democrats, according to the survey from Navigator Research, 83% expressed support for the federal government wiping out at least a portion of such debt.
Calculated crystals, as found in the file:
# PBE-GGA AcReBi2O8, optimized geometry
data_AcReBi2O8
_cell_length_a 5.310
_cell_length_b 5.315
_cell_length_c 7.036
_cell_angle_alpha 88.62
_cell_angle_beta 88.75
_cell_angle_gamma 87.56
_symmetry_space_group_name_H-M 'P 1'
_symmetry_Int_Tables_number 1
_symmetry_space_group_name_Hall 'P 1'
loop_
_atom_site_label
_atom_site_fract_x
_atom_site_fract_y
_atom_site_fract_z
Ac1 0.000 0.000 0.000
Re1 0.000 0.000 0.500
Bi1 0.493 0.492 0.254
Bi2 0.507 0.508 0.746
O1 0.168 0.808 0.301
O2 0.195 0.834 0.700
O3 0.241 0.243 0.472
O4 0.321 0.323 0.013
O5 0.679 0.677 0.987
O6 0.759 0.757 0.528
O7 0.805 0.166 0.300
O8 0.832 0.192 0.699
# SG	P-1 (2)
# ΔE_f (raw)	-1.792	eV per atom

***

# PBE-GGA Ac2BiRhO5, optimized geometry
data_Ac2BiRhO5
_cell_length_a 7.150
_cell_length_b 7.150
_cell_length_c 5.817
_cell_angle_alpha 90.00
_cell_angle_beta 90.00
_cell_angle_gamma 90.00
_symmetry_space_group_name_H-M 'P 1'
_symmetry_Int_Tables_number 1
_symmetry_space_group_name_Hall 'P 1'
loop_
_atom_site_label
_atom_site_fract_x
_atom_site_fract_y
_atom_site_fract_z
Ac1 0.171 0.329 0.000
Ac2 0.329 0.829 0.000
Ac3 0.671 0.171 0.000
Ac4 0.829 0.671 0.000
Bi1 0.000 0.000 0.500
Bi2 0.500 0.500 0.500
Rh1 0.000 0.500 0.500
Rh2 0.500 0.000 0.500
O1 0.000 0.000 0.000
O2 0.144 0.644 0.261
O3 0.144 0.644 0.739
O4 0.356 0.144 0.261
O5 0.356 0.144 0.739
O6 0.500 0.500 0.000
O7 0.644 0.856 0.261
O8 0.644 0.856 0.739
O9 0.856 0.356 0.261
O10 0.856 0.356 0.739
# SG	P4/mbm (127)
# ΔE_f (raw)	-1.924	eV per atom

***

# PBE-GGA Ac3BiRhO, optimized geometry
data_Ac3BiRhO
_cell_length_a 9.461
_cell_length_b 4.440
_cell_length_c 9.784
_cell_angle_alpha 90.00
_cell_angle_beta 104.39
_cell_angle_gamma 90.00
_symmetry_space_group_name_H-M 'P 1'
_symmetry_Int_Tables_number 1
_symmetry_space_group_name_Hall 'P 1'
loop_
_atom_site_label
_atom_site_fract_x
_atom_site_fract_y
_atom_site_fract_z
Ac1 0.064 0.250 0.343
Ac2 0.326 0.250 0.974
Ac3 0.374 0.750 0.647
Ac4 0.626 0.250 0.353
Ac5 0.674 0.750 0.026
Ac6 0.936 0.750 0.657
Bi1 0.321 0.750 0.265
Bi2 0.679 0.250 0.735
Rh1 0.156 0.250 0.651
Rh2 0.844 0.750 0.349
O1 0.416 0.750 0.907
O2 0.584 0.250 0.093
# SG	P2_1/m (11)
# ΔE_f (raw)	-1.472	eV per atom

***

# PBE-GGA Ac2BiRhO8, optimized geometry
data_Ac2BiRhO8
_cell_length_a 4.511
_cell_length_b 7.269
_cell_length_c 5.564
_cell_angle_alpha 90.00
_cell_angle_beta 94.82
_cell_angle_gamma 90.00
_symmetry_space_group_name_H-M 'P 1'
_symmetry_Int_Tables_number 1
_symmetry_space_group_name_Hall 'P 1'
loop_
_atom_site_label
_atom_site_fract_x
_atom_site_fract_y
_atom_site_fract_z
Ac1 0.000 0.244 0.000
Ac2 0.000 0.756 0.000
Bi1 0.500 0.500 0.500
Rh1 0.500 0.000 0.500
O1 0.057 0.500 0.254
O2 0.081 0.000 0.397
O3 0.458 0.210 0.738
O4 0.458 0.790 0.738
O5 0.542 0.210 0.262
O6 0.542 0.790 0.262
O7 0.919 0.000 0.603
O8 0.943 0.500 0.746
# SG	P2/m (10)
# ΔE_f (raw)	-1.739	eV per atom

***

# PBE-GGA AcBi2RhO8, optimized geometry
data_AcBi2RhO8
_cell_length_a 5.080
_cell_length_b 7.011
_cell_length_c 5.117
Looking at respondents overall, 63% back debt cancellation, including 59% of Independents and 41% of Republicans. The strongest support came from Black Americans at 87%, followed by Hispanic (72%), Asian Americans and Pacific Islander (68%), and white (57%) respondents.
Strong support for debt cancellation came whether or not respondents hold debt themselves. Eighty-nine percent of those currently saddled with student loan debt support cancellation compared to 75% among those who've ever had such debt at any time. Even among those who've never had student debt at all, support for cancellation stood at 55%.
Navigator conducted the survey of 1,000 registered voters February 3-7, 2022.
The data, said Bryan Bennett, senior director of polling and analytics at the Hub Project and adviser to Navigator Research, "shows that President Biden canceling student loan debt could be hugely consequential to millions of Americans facing significant financial burdens amidst the pain of rising costs--it would decrease the racial wealth gap and potentially help him regain support from Black and Hispanic Americans in particular, where he has seen erosion in job approval over the last few months."
"Even Americans who don't carry student debt themselves," he noted, "are sympathetic and are supportive of loan forgiveness."
The new polling comes amid mounting calls for Biden to wipe out a debt crisis affecting over 40 million Americans and that's now reached over $1.8 trillion.
"Cancel it. Every penny," tweeted Sen. Bernie Sanders (I-Vt.) in response to the latest figure.
Dozens of congressional Democrats including Sanders last month urged Biden to release an Education Department memo the president requested outlining his authority to cancel student debt. The Education Department has reportedly had the memo since April last year.
In addition to calls from progressive lawmakers, economic justice groups like the Debt Collective continue to push Biden wipe out student debt--a call that's gained increased urgency with the pause on student loan payments set to end May 1.
"Student debt is at $1.8 trillion. It will never be paid back, and we don't mean that rhetorically," the group said in a Thurday tweet. "The Department of Education literally knows the money cannot be paid back--it balloons too quickly and no one can afford it. It's impossible. So just wipe it off the books, @POTUS."
- - -
# PBE-GGA KMgCd2Hg8, optimized geometry
# E_tot (eV per atom): -0.6583
# D(E_F) (states/eV per cell): 8.48
data_KMgCd2Hg8
_chemical_formula_sum 'K2 Mg2 Cd4 Hg16'
_cell_length_a 10.2069
_cell_length_b 6.8312
_cell_length_c 10.7189
_cell_angle_alpha 90.00
_cell_angle_beta 118.25
_cell_angle_gamma 90.00
_symmetry_space_group_name_H-M 'C 1 2/m 1'
_symmetry_Int_Tables_number 12
loop_
_symmetry_equiv_pos_as_xyz
'x,y,z'
'-x,-y,-z'
'-x,y,-z'
'x,-y,z'
'x+1/2,y+1/2,z'
'-x+1/2,-y+1/2,-z'
'-x+1/2,y+1/2,-z'
'x+1/2,-y+1/2,z'
loop_
_atom_site_label
_atom_site_type_symbol
_atom_site_fract_x
_atom_site_fract_y
_atom_site_fract_z
_atom_site_occupancy
K1 K 0.0000 0.0000 0.0000 1
Mg1 Mg 0.0000 0.5000 0.5000 1
Cd1 Cd 0.1355 0.5000 0.2951 1
Hg1 Hg 0.1306 0.2365 0.7388 1
Hg2 Hg 0.1521 0.5000 0.9953 1
Hg3 Hg 0.1687 0.0000 0.3914 1

***

# PBE-GGA KMgCdHg, optimized geometry
# E_tot (eV per atom): -1.0176
# D(E_F) (states/eV per cell): 4.90
data_KMgCdHg
_chemical_formula_sum 'K4 Mg4 Cd4 Hg4'
_cell_length_a 7.6995
_cell_length_b 7.6995
_cell_length_c 7.6995
_cell_angle_alpha 90.00
_cell_angle_beta 90.00
_cell_angle_gamma 90.00
_symmetry_space_group_name_H-M 'F -4 3 m'
_symmetry_Int_Tables_number 216
_symmetry_space_group_name_Hall 'F -4 2 3'
loop_
_atom_site_label
_atom_site_type_symbol
_atom_site_fract_x
_atom_site_fract_y
_atom_site_fract_z
_atom_site_occupancy
K1 K 0.0000 0.0000 0.0000 1
Mg1 Mg 0.0000 0.0000 0.5000 1
Cd1 Cd 0.2500 0.2500 0.2500 1
Hg1 Hg 0.2500 0.2500 0.7500 1

***

# PBE-GGA K2MgCd4Hg3, optimized geometry
# E_tot (eV per atom): -0.9586
# D(E_F) (states/eV per cell): 5.00
data_K2MgCd4Hg3
_chemical_formula_sum 'K2 Mg1 Cd4 Hg3'
_cell_length_a 4.6964
_cell_length_b 4.6964
_cell_length_c 13.3037
_cell_angle_alpha 90.00
_cell_angle_beta 90.00
_cell_angle_gamma 90.00
_symmetry_space_group_name_H-M 'P -4 m 2'
_symmetry_Int_Tables_number 115
loop_
_symmetry_equiv_pos_as_xyz
'x,y,z'
'y,-x,-z'
'-x,-y,z'
'-y,x,-z'
'-x,y,z'
'-y,-x,-z'
'x,-y,z'
'y,x,-z'
loop_
_atom_site_label
_atom_site_type_symbol
_atom_site_fract_x
_atom_site_fract_y
_atom_site_fract_z
_atom_site_occupancy
K1 K 0.0000 0.5000 0.2461 1
Mg1 Mg 0.0000 0.0000 0.5000 1
Cd1 Cd 0.0000 0.0000 0.0000 1
Cd2 Cd 0.0000 0.5000 0.6391 1
Cd3 Cd 0.5000 0.5000 0.0000 1
Hg1 Hg 0.0000 0.5000 0.8566 1
Hg2 Hg 0.5000 0.5000 0.5000 1

***

# PBE-GGA K2NaCd4Hg3, optimized geometry
# E_tot (eV per atom): -0.9429
# D(E_F) (states/eV per cell): 6.01
data_K2NaCd4Hg3
_chemical_formula_sum 'K2 Na1 Cd4 Hg3'
_cell_length_a 4.7810
_cell_length_b 4.7810
_cell_length_c 13.3997
_cell_angle_alpha 90.00
_cell_angle_beta 90.00
_cell_angle_gamma 90.00
_symmetry_space_group_name_H-M 'P -4 m 2'
_symmetry_Int_Tables_number 115
loop_
_symmetry_equiv_pos_as_xyz
'x,y,z'
'y,-x,-z'
'-x,-y,z'
'-y,x,-z'
'-x,y,z'
'-y,-x,-z'
'x,-y,z'
'y,x,-z'
loop_
_atom_site_label
_atom_site_type_symbol
_atom_site_fract_x
_atom_site_fract_y
_atom_site_fract_z
_atom_site_occupancy
K1 K 0.0000 0.5000 0.2347 1
Na1 Na 0.0000 0.0000 0.5000 1
- - -
The Debt Collective is also among the groups behind an April day of action in the nation's capitol centered on the message: "Pick up the Pen, Joe. Cancel student debt for all 45 million Americans."